Activity
Please find the line further below that holds "0.4907 0.4907", then return that line and all lines after it there.

Source
********
Entry 1:
An optimized crystal structure of KSiIr2, computed with PBE.

Properties
- Space group: No. 44
- Uncorrected formation energy: 513 meV/atom

Cell lengths 6.0108, 6.0108, 6.0108 Å; angles 153.93, 128.82, 58.32 degrees
With the nearest neighbours (Å) after each atom.
Positions (direct):
Ir 0.0115 0.0115 0.0000  2 Si 2.43, 4 Ir 2.65-2.71
Ir 0.7945 0.2945 0.5000  4 Ir 2.65-2.71
K 0.4907 0.4907 0.0000  2 K 2.71, 4 Ir 2.94
Si 0.2033 0.7033 0.5000  2 Ir 2.43, 2 Si 2.71



Entry 2:
An optimized crystal structure of Y3Ni2Pt, computed with PBE.

Properties
- Space group: No. 62
- Energy relative to the elements: -611 meV/atom

Cell lengths 4.0134, 11.4040, 11.5002 Å; angles 90.00, 90.00, 90.00 degrees
With the nearest neighbours (Å) after each atom.
Positions (direct):
Y 0.2500 0.3784 0.0549  5 Ni 2.87-3.05, 1 Pt 2.98
Y 0.7500 0.6216 0.9451  5 Ni 2.87-3.05, 1 Pt 2.98
Y 0.7500 0.8784 0.4451  5 Ni 2.87-3.05, 1 Pt 2.98
Y 0.2500 0.1216 0.5549  5 Ni 2.87-3.05, 1 Pt 2.98
Y 0.2500 0.6855 0.2056  3 Ni 2.79-2.90, 2 Pt 2.89
Y 0.7500 0.3145 0.7944  3 Ni 2.79-2.90, 2 Pt 2.89
Y 0.7500 0.1855 0.2944  3 Ni 2.79-2.90, 2 Pt 2.89
Y 0.2500 0.8145 0.7056  3 Ni 2.79-2.90, 2 Pt 2.89
Y 0.2500 0.4370 0.3778  3 Pt 2.92-2.95, 5 Ni 2.93-3.25
Y 0.7500 0.5630 0.6222  3 Pt 2.92-2.95, 5 Ni 2.93-3.25
Y 0.7500 0.9370 0.1222  3 Pt 2.92-2.95, 5 Ni 2.93-3.25
Y 0.2500 0.0630 0.8778  3 Pt 2.92-2.95, 5 Ni 2.93-3.25
Ni 0.2500 0.6974 0.4924  2 Pt 2.54, 1 Y 2.79
Ni 0.7500 0.3026 0.5076  2 Pt 2.54, 1 Y 2.79
Ni 0.7500 0.1974 0.0076  2 Pt 2.54, 1 Y 2.79
Ni 0.2500 0.8026 0.9924  2 Pt 2.54, 1 Y 2.79
Ni 0.2500 0.0032 0.3168  1 Pt 2.63, 4 Y 2.87-2.90
Ni 0.7500 0.9968 0.6832  1 Pt 2.63, 4 Y 2.87-2.90
Ni 0.7500 0.5032 0.1832  1 Pt 2.63, 4 Y 2.87-2.90
Ni 0.2500 0.4968 0.8168  1 Pt 2.63, 4 Y 2.87-2.90
Pt 0.2500 0.1261 0.1237  3 Ni 2.54-2.63
Pt 0.7500 0.8739 0.8763  3 Ni 2.54-2.63
Pt 0.7500 0.6261 0.3763  3 Ni 2.54-2.63
Pt 0.2500 0.3739 0.6237  3 Ni 2.54-2.63



Entry 3:
An optimized crystal structure of ZrCoHg2, computed with PBE.

Properties
- Space group: No. 123
- Energy relative to the elements: 169 meV/atom

Cell lengths 4.1455, 4.1461, 4.4540 Å; angles 90.00, 90.00, 90.00 degrees
With the nearest neighbours (Å) after each atom.
Positions (direct):
Co 0.0000 0.5000 0.5000  4 Zr 2.93, 8 Hg 3.04
Hg 0.0000 0.0000 0.0000  4 Hg 2.93, 4 Zr 3.04, 4 Co 3.04
Hg 0.5000 0.5000 0.0000  4 Hg 2.93, 4 Co 3.04, 4 Zr 3.04
Zr 0.5000 0.0000 0.5000  4 Co 2.93, 8 Hg 3.04
********

Solution
K 0.4907 0.4907 0.0000  2 K 2.71, 4 Ir 2.94
Si 0.2033 0.7033 0.5000  2 Ir 2.43, 2 Si 2.71



Entry 2:
An optimized crystal structure of Y3Ni2Pt, computed with PBE.

Properties
- Space group: No. 62
- Energy relative to the elements: -611 meV/atom

Cell lengths 4.0134, 11.4040, 11.5002 Å; angles 90.00, 90.00, 90.00 degrees
With the nearest neighbours (Å) after each atom.
Positions (direct):
Y 0.2500 0.3784 0.0549  5 Ni 2.87-3.05, 1 Pt 2.98
Y 0.7500 0.6216 0.9451  5 Ni 2.87-3.05, 1 Pt 2.98
Y 0.7500 0.8784 0.4451  5 Ni 2.87-3.05, 1 Pt 2.98
Y 0.2500 0.1216 0.5549  5 Ni 2.87-3.05, 1 Pt 2.98
Y 0.2500 0.6855 0.2056  3 Ni 2.79-2.90, 2 Pt 2.89
Y 0.7500 0.3145 0.7944  3 Ni 2.79-2.90, 2 Pt 2.89
Y 0.7500 0.1855 0.2944  3 Ni 2.79-2.90, 2 Pt 2.89
Y 0.2500 0.8145 0.7056  3 Ni 2.79-2.90, 2 Pt 2.89
Y 0.2500 0.4370 0.3778  3 Pt 2.92-2.95, 5 Ni 2.93-3.25
Y 0.7500 0.5630 0.6222  3 Pt 2.92-2.95, 5 Ni 2.93-3.25
Y 0.7500 0.9370 0.1222  3 Pt 2.92-2.95, 5 Ni 2.93-3.25
Y 0.2500 0.0630 0.8778  3 Pt 2.92-2.95, 5 Ni 2.93-3.25
Ni 0.2500 0.6974 0.4924  2 Pt 2.54, 1 Y 2.79
Ni 0.7500 0.3026 0.5076  2 Pt 2.54, 1 Y 2.79
Ni 0.7500 0.1974 0.0076  2 Pt 2.54, 1 Y 2.79
Ni 0.2500 0.8026 0.9924  2 Pt 2.54, 1 Y 2.79
Ni 0.2500 0.0032 0.3168  1 Pt 2.63, 4 Y 2.87-2.90
Ni 0.7500 0.9968 0.6832  1 Pt 2.63, 4 Y 2.87-2.90
Ni 0.7500 0.5032 0.1832  1 Pt 2.63, 4 Y 2.87-2.90
Ni 0.2500 0.4968 0.8168  1 Pt 2.63, 4 Y 2.87-2.90
Pt 0.2500 0.1261 0.1237  3 Ni 2.54-2.63
Pt 0.7500 0.8739 0.8763  3 Ni 2.54-2.63
Pt 0.7500 0.6261 0.3763  3 Ni 2.54-2.63
Pt 0.2500 0.3739 0.6237  3 Ni 2.54-2.63



Entry 3:
An optimized crystal structure of ZrCoHg2, computed with PBE.

Properties
- Space group: No. 123
- Energy relative to the elements: 169 meV/atom

Cell lengths 4.1455, 4.1461, 4.4540 Å; angles 90.00, 90.00, 90.00 degrees
With the nearest neighbours (Å) after each atom.
Positions (direct):
Co 0.0000 0.5000 0.5000  4 Zr 2.93, 8 Hg 3.04
Hg 0.0000 0.0000 0.0000  4 Hg 2.93, 4 Zr 3.04, 4 Co 3.04
Hg 0.5000 0.5000 0.0000  4 Hg 2.93, 4 Co 3.04, 4 Zr 3.04
Zr 0.5000 0.0000 0.5000  4 Co 2.93, 8 Hg 3.04